Emotional Lockdown

Have you ever felt like you were just "done?" Done with the worry, the fighting, the confusion, the anger, and the frustration. Have you ever just wanted to turn off how you feel or run and hide from your emotions? Do you want to shut-down, lay down, and pull the covers over your head?

When we reach the point of "no return" it's often because we've not taken care of ourselves. We've been so "other" focused that we get lost in the shuffle of things. It's like when our "In tray" is full of problems and we never can get to the bottom of it. It's usually everyone else putting their problems on our emotional desktop that creates these feelings of overload.

There is a term called “The Jericho Syndrome,” based on the Biblical account of the army of Israel blowing trumpets for 7 days while they marched around the city of Jericho. The Israelites followed God's instructions and the walls fell down giving the army easy access into the city.

Most pastors consider this account from the perspective of the Israelites; that with God's help anything is possible. But consider the people living behind the walls of Jericho for a minute. They're only defense was to lock it down:

### Between two parts of the article: records of crystals
# 1
DFT (GGA-PBE) results for a relaxed structure of Tb2Ce3PaAs6.

Output
Total energy ... -6.778 eV per atom
SG ... C2/m
Calculated formation energy ... -136 kJ/mol of atoms
N(E_F) ... 1.7006 states/eV/atom

Cell: 7.2119 7.2119 7.2439 Å, 99.54 99.54 119.99°
Closest atoms and distances in Å follow each position.
Fractional coordinates of all 12 atoms:
Tb1 0.1663 0.8337 0.0000  6 As 2.93-2.94
Tb2 0.8337 0.1663 0.0000  6 As 2.93-2.94
Ce1 0.0000 0.0000 0.5000  6 As 2.97-3.01
Ce2 0.3319 0.6681 0.5000  6 As 2.96-2.99
Ce3 0.6681 0.3319 0.5000  6 As 2.96-2.99
Pa1 0.5000 0.5000 0.0000  6 As 2.89
As1 0.0907 0.4193 0.7574  1 Pa 2.89, 2 Tb 2.93-2.94, 3 Ce 2.96-2.99
As2 0.2528 0.2528 0.2428  1 Pa 2.89, 2 Tb 2.93, 3 Ce 2.98-3.01
As3 0.4193 0.0907 0.7574  1 Pa 2.89, 2 Tb 2.93-2.94, 3 Ce 2.96-2.99
As4 0.5807 0.9093 0.2426  1 Pa 2.89, 2 Tb 2.93-2.94, 3 Ce 2.96-2.99
As5 0.7472 0.7472 0.7572  1 Pa 2.89, 2 Tb 2.93, 3 Ce 2.98-3.01
As6 0.9093 0.5807 0.2426  1 Pa 2.89, 2 Tb 2.93-2.94, 3 Ce 2.96-2.99

# 2
DFT (GGA-PBE) results for a relaxed structure of CePaTeAs.

Output
Total energy ... -6.889 eV per atom
SG ... R3m
Uncorrected formation energy ... -1084 meV per atom
N(E_F) ... 2.3172 states/eV/atom

Cell: 7.9772 7.9772 7.9772 Å, 30.01 30.01 30.01°
Closest atoms and distances in Å follow each position.
Fractional coordinates of all 4 atoms:
Ce1 0.0000 0.0000 0.0000  3 As 2.94, 3 Te 3.27
Pa1 0.8119 0.8119 0.8119  3 As 2.87, 3 Te 3.15
Te1 0.2355 0.2355 0.2355  3 Pa 3.15, 3 Ce 3.27
As1 0.4085 0.4085 0.4085  3 Pa 2.87, 3 Ce 2.94

# 3
DFT (GGA-PBE) results for a relaxed structure of Ce2ThPaAs4.

Output
Total energy ... -7.252 eV per atom
SG ... P2/m
Calculated formation energy ... -128 kJ/mol of atoms
N(E_F) ... 1.7849 states/eV/atom

Cell: 7.2628 4.1925 7.2743 Å, 90.00 109.43 90.00°
Closest atoms and distances in Å follow each position.
Fractional coordinates of all 8 atoms:
Ce1 0.0000 0.0000 0.0000  6 As 3.01
Ce2 0.5000 0.5000 0.0000  6 As 2.95
Th1 0.0000 0.5000 0.5000  6 As 2.98
Pa1 0.5000 0.0000 0.5000  6 As 2.92
As1 0.2566 0.0000 0.7487  1 Pa 2.92, 3 Ce 2.95-3.01, 2 Th 2.98
As2 0.2586 0.5000 0.2559  2 Pa 2.92, 3 Ce 2.95-3.01, 1 Th 2.98
As3 0.7414 0.5000 0.7441  2 Pa 2.92, 3 Ce 2.95-3.01, 1 Th 2.98
As4 0.7434 0.0000 0.2513  1 Pa 2.92, 3 Ce 2.95-3.01, 2 Th 2.98

# 4
DFT (GGA-PBE) results for a relaxed structure of CeTh2PaAs4.

Output
Total energy ... -7.430 eV per atom
SG ... P2/m
Calculated formation energy ... -128 kJ/mol of atoms
N(E_F) ... 1.2521 states/eV/atom

Cell: 7.2635 4.2047 7.2885 Å, 90.00 109.50 90.00°
Closest atoms and distances in Å follow each position.
Fractional coordinates of all 8 atoms:
Ce1 0.0000 0.0000 0.0000  6 As 2.95-2.96
Th1 0.5000 0.0000 0.5000  6 As 2.99
Th2 0.5000 0.5000 0.0000  6 As 3.02-3.03
Pa1 0.0000 0.5000 0.5000  6 As 2.92
As1 0.2400 0.0000 0.7430  2 Pa 2.92, 1 Ce 2.95, 3 Th 2.99-3.02
As2 0.2426 0.5000 0.2519  1 Pa 2.92, 2 Ce 2.96, 3 Th 2.99-3.03
As3 0.7574 0.5000 0.7481  1 Pa 2.92, 2 Ce 2.96, 3 Th 2.99-3.03

“Now the gates of Jericho were securely barred because of the Israelites.

No one went out and no one came in.”

Joshua 6:1 (NIV)

Sometimes in our relationships, we can lock down our emotions as a last defense. Sometimes we are so emotionally flooded that we can't even describe how we are feeling or give it a name. Our negative emotions are so powerful they can impact our health and well being. Speaker and author John Koenig believes that by giving our emotions a name and defining them helps us better understand them, “Whatever you’re feeling right now has been felt by someone else out there.” He is writing a dictionary of “made up words” to help label human experiences that have no current words or definitions called, The Dictionary of Obscure Sorrows.

When I work with clients who express overwhelming anger or sadness I help them label the feelings more accurately (hurt, fear, frustration, grief). Clients tend to respond and apply new coping skills when they can see a direct correlation between the cause and effect of their emotions. Clinical assistant professor of psychology at the University of Pennsylvania Seth J. Gillihan reports that to give our emotions a name, "...might not change the emotion, but it does allow us the possibility of choosing our response."

## Materials data that have nothing to do with the text
(1)
MgSn2Hg (PBE, relaxed); energy above the most stable polymorph in this dataset = 0.11 eV/f.u.; DFT total energy = -2.486 eV/atom; SG = P4/mmm, No. 123; DOS(E_F) = 2.1 states/eV/f.u.; magnetic moment = 0.0000 μB per atom
1.0
3.320 0.000 0.000
0.000 3.320 0.000
0.000 0.000 9.281
Sn Mg Hg
2 1 1
direct
0.000 0.000 0.226
0.000 0.000 0.774
0.500 0.500 0.000
0.500 0.500 0.500

=====

(2)
Mg4Sn2Hg5 (PBE, relaxed); DFT total energy = -1.556 eV/atom; SG = P-1, No. 2; DOS(E_F) = 4.1 states/eV/f.u.; magnetic moment = 0.0000 μB per atom
1.0
4.505 0.011 -1.249
0.867 6.151 2.832
0.739 3.357 10.730
Sn Hg Mg
2 5 4
direct
0.402 0.657 0.807
0.598 0.343 0.193
0.141 0.562 0.281
0.218 0.892 0.442
0.782 0.108 0.558
0.500 0.000 0.000
0.859 0.438 0.719
0.322 0.272 0.640
0.678 0.728 0.360
0.964 0.810 0.928
0.036 0.190 0.072

* * * * *

Entry w
{"formula": "ScBe2Os", "functional": "PBE-GGA", "state": "optimized geometry", "lattice": [[-0.346, -4.072, -0.674], [0.052, -2.639, 3.192], [-3.462, -1.994, 1.095]], "species": ["Os", "Be", "Be", "Sc"], "fractional_positions": [[0.500, 0.500, 0.500], [0.250, 0.250, 0.250], [0.750, 0.750, 0.750], [0.000, 0.000, 0.000]], "magmom_total_mub_per_atom": 0.0000, "spacegroup": "Fm-3m", "dos_ef_per_ev_atom": 0.780}

=====

Entry x
{"formula": "ScBe2Os", "functional": "PBE-GGA", "state": "optimized geometry", "lattice": [[4.233, 0.000, 0.000], [2.117, 3.666, 0.000], [2.117, 1.222, 3.457]], "species": ["Be", "Be", "Sc", "Os"], "fractional_positions": [[0.000, 0.000, 0.000], [0.250, 0.250, 0.250], [0.750, 0.750, 0.750], [0.500, 0.500, 0.500]], "magmom_total_mub_per_atom": 0.0000, "spacegroup": "F-43m", "dos_ef_per_ev_atom": 0.878}

=====

Tell me which of them is the most stable. Sure, it is entry w.

=====

Entry w
{"formula": "ScBe2Os", "functional": "PBE-GGA", "state": "optimized geometry", "lattice": [[-1.918, -0.751, 4.285], [0.530, -4.428, 1.647], [2.912, 3.268, -1.854]], "species": ["Os", "Be", "Be", "Sc"], "fractional_positions": [[0.500, 0.500, 0.000], [0.000, 0.000, 0.000], [0.250, 0.750, 0.500], [0.750, 0.250, 0.500]], "magmom_total_mub_per_atom": 0.0648, "spacegroup": "I-4m2", "dos_ef_per_ev_atom": 1.013}

=====

Entry x
{"formula": "ScBe2Os", "functional": "PBE-GGA", "state": "optimized geometry", "lattice": [[3.044, 0.000, 0.000], [0.000, 3.044, 0.000], [0.000, 0.000, 5.577]], "species": ["Os", "Be", "Be", "Sc"], "fractional_positions": [[0.500, 0.500, 0.250], [0.000, 0.000, 0.440], [0.000, 0.000, 0.060], [0.500, 0.500, 0.750]], "magmom_total_mub_per_atom": 0.0005, "spacegroup": "P4/mmm", "dos_ef_per_ev_atom": 0.634}

=====

Tell me which of them is the most stable. Sure, it is entry x.

=====

Entry w

If you need help unlocking the emotional locks that imprison you, call Encouragers today.